(Exercise)
The reader should transcribe the calculation results further down from the line with "3.953 9.590" to the end word for word.
(Material)
=====
# YIO

An optimized crystal structure of YIO (PBE, Materials Project).

abc: 3.953 3.953 9.590
angles: 90.00 90.00 90.00
Element x y z (fractional)
Y  0.500  0.000  0.886
Y  0.000  0.500  0.114
I  0.000  0.500  0.684
I  0.500  0.000  0.316
O  0.000  0.000  0.000
O  0.500  0.500  0.000

E ... -7.02 eV/atom
E (MP2020) ... -43.5 eV/cell
=====
(Result)
abc: 3.953 3.953 9.590
angles: 90.00 90.00 90.00
Element x y z (fractional)
Y  0.500  0.000  0.886
Y  0.000  0.500  0.114
I  0.000  0.500  0.684
I  0.500  0.000  0.316
O  0.000  0.000  0.000
O  0.500  0.500  0.000

E ... -7.02 eV/atom
E (MP2020) ... -43.5 eV/cell